Biography Mikhalkov Sergey Vladimirovich

(born 1913)

Mikhalkov Sergei Vladimirovich (born 1913), poet, playwright.
He was born on February 27 (March 12, 2001) in Moscow in the family of an employee, “one of the pioneers of Soviet industrial poultry farming.”
Father instilled in his son a love of Russian literature, introduced the verses of V. Mayakovsky, D. Bednyi, S. Esenin, whose influence on poetry affected the children’s and youthful poetic experiments of the young Mikhalkov.
# Someone pasted records of crystals at this point
********
First-principles (PBE-GGA) data for crystalline USe2NO8 at its relaxed geometry, as listed in Materials Project.

The structure in CIF format:
```
data_USe2NO8
_chemical_formula_sum 'U4 Se8 N4 O32'
_cell_length_a 8.8595
_cell_length_b 10.7535
_cell_length_c 12.6564
_cell_angle_alpha 90.00
_cell_angle_beta 128.56
_cell_angle_gamma 90.00
_space_group_name_H-M_alt 'P 1 21/c 1'
_space_group_IT_number 14
loop_
_space_group_symop_operation_xyz
'x,y,z'
'-x,-y,-z'
'-x,y+1/2,-z+1/2'
'x,-y+1/2,z+1/2'
loop_
_atom_site_label
_atom_site_type_symbol
_atom_site_fract_x
_atom_site_fract_y
_atom_site_fract_z
_atom_site_occupancy
U1 U 0.1862 0.2000 0.3111 1
Se1 Se 0.2210 0.5282 0.2080 1
Se2 Se 0.2896 0.6263 0.9053 1
N1 N 0.2708 0.5576 0.5435 1
O1 O 0.0852 0.6873 0.8727 1
O2 O 0.1080 0.5856 0.2665 1
O3 O 0.1727 0.2146 0.9272 1
O4 O 0.1885 0.1065 0.1947 1
O5 O 0.2924 0.0231 0.4565 1
O6 O 0.3101 0.1140 0.7732 1
O7 O 0.3861 0.6221 0.2321 1
O8 O 0.4745 0.7057 0.0447 1
```

Computed properties:
formation enthalpy at 0 K: -1.25 eV/atom
uncorrected energy: -75.65 eV per formula unit
crystal system: monoclinic
spin magnetization: 12.00 Bohr magnetons per cell
********
# The records of crystals stop here
He spent his school years in Pyatigorsk, graduating from high school in 1930.
Mikhalkov’s first poem “The Road” was published in the magazine “On the Rise” (Rostov-on-Don) in 1928. In the same year he was enlisted in the author’s asset of the Tersk Association of Proletarian Writers (TAPP), and his poems were often printed on the pages of the Pyatigorsk newspaper “Terek”.
In 1930 he moved to Moscow and for three years worked as a laborer at the Moskvoretsky weaving and finishing factory. He took part in a geological exploration expedition to East Kazakhstan and the Volga. Poems Mikhalkov increasingly published in the capital press, broadcast by radio. Since 1933, it became possible to live only on literary earnings. He belonged to the association of young writers in the magazine “Ogonyok.”
In 1935 – 37 he studied at the Literary Institute. M. Gorky.
In 1935 in the magazine “Pioneer” Mikhalkov published a poem for children “Three Citizen.” He was followed by other children’s verses: “Merry Tourist”, “Stubborn Foma”, “We are a friend”, “Uncle Stepa”, included in the first book of poems by S. Mikhalkov (1936). Acquaintance, friendly criticism, and then creative friendship with writers A. Fadeevsh, S. Marshak and K. Chukovsky finally determined the literary fate of Mikhalkov.
In 1939 he was drafted into the Red Army and participated in the liberation of Western Ukraine, first tried his forces in the front press as a military correspondent, which was also in the ranks of the Soviet Army throughout the years of the War of Independence.
Continuing to work in the army press, he forgot his little reader: he wrote poems for kids and school-age children: “Byl for Children”, “Pioneer Parcel”, “Map”, “Mother”, etc.
One of the oldest masters of Russian literature, A Tolstoy submitted to Mikhalkov the idea of ​​turning to the fable, and the first fables he wrote were approved by Tolstoy. In the newspaper “Pravda” was printed “Fox and beaver.” Then came the “Hare in the Hop”, “Two Girlfriends”, “Current Repair” and many others (Mikhalkov’s pen belongs to about two hundred fables).
He wrote plays for children’s theaters: “A Special Task” (1945), “Red Tie” (1946), “I Want Home” (1949), Sombrero (1957), etc. and plays for adults.
Since 1962 Mikhalkov – the organizer and editor in chief of the satirical newsreel “Wick.” S. Mikhalkov lives and works in Moscow.
A short biography from the book: Russian writers and poets. A short biographical dictionary. Moscow, 2000.

Biography Mikhalkov Sergey Vladimirovich